It’s the July Update, a little later than usual thanks to a busy but amazing July 4th Weekend. I got a lot done this month, and still have a lot to do.
As I said last month, Book 3 is not about word counts right now; it’s more about processing the story and trying to streamline what I have planned. I did add a good number of scenes to the story, and I’m working out the flow, but I’m having difficulty nailing the exact sequence of events. I’m working hard on it, and I’m optimistic I can get the books finished, if not published, this year.
My Science Fiction Novel went from 2nd Draft Writing to 2nd Draft Ironing, which means I’ve got a continuous story that I like, and now I’m going through it to make sure things match up, that chapters are not too long or too short, things of that nature. I could very well have the 2nd Draft done and ready for review by the end of the month. Then I can move on to figuring out publishing details, like finding a title.
I did not do too much with the fantasy novel this month. I got some writing done, and some planning. But it was not high on my list as it is the furthest project from completion.
I did spent a decent amount of time last month planning other projects. I expect to go into details in a future blog post, but I’m looking at how I work on projects and how I can bring them to fruition faster. Most of it focuses on world building and advanced outlining.
July Goals
- Get through middle section of Book 3
- Get Science Fiction Novel to Beta Reader status
- Add 5,000 words to Fantasy Novel
Movies and TV Shows

The first new movie I got into in June was The Lego Batman Movie. This had been on my list for a long time. It was fantastic. Will Arnett’s angsty Batman was a hilarious caricature of the superhero. The movie itself made fun of the absurdity of Batman, Gotham City, and the numerous villains that Batman faces in fighting crime. I was glad to finally sit down and watch it.
I started two new seasons of shows in June: Marvel: Secret Invasion and Star Trek: Strange New Worlds Season 2. I’m only one episode into Secret Invasion, so I don’t really have much to say about it, other than I’m anticipating Olivia Colman to pull off her usual amazing stuff. I’m two episodes into Strange New Worlds Season 2 and the second episode was one of those episodes I know I’ll be watching for a long time. Between those two shows and The Witcher Season 3, I think July will be a pretty heavy TV months.
July Goals
- Watch two new movies
- Finished two TV shows
Materials data that have nothing to do with the page:
____________
(1)
The following is a computed PXRD pattern of CsRbMg6. It was derived from a PBE-relaxed structure, using CuKα.

Peak list (10 most intense, 2θ = 15–90°, in order of rising 2θ)
2θ = 17.59°, I 40, hkl 0 1 0; 2θ = 20.89°, I 100, hkl 0 1 1; 2θ = 22.49°, I 47, hkl 0 0 2; 2θ = 25.97°, I 39, hkl 2 0 0; 2θ = 26.41°, I 38, hkl 2 0 -2; 2θ = 28.69°, I 81, hkl 0 1 2; 2θ = 31.54°, I 65, hkl 2 1 0; 2θ = 31.91°, I 62, hkl 2 1 -2; 2θ = 35.61°, I 35, hkl 0 2 0; 2θ = 49.50°, I 29, hkl 0 1 4

Structural model:
Unit cell a=7.540 b=5.043 c=8.690 alpha=90.00 beta=114.50 gamma=90.00
Element x y z (fractional)
Cs 0.000 0.000 0.000
Rb 0.505 0.000 0.011
Mg 0.011 0.000 0.521
Mg 0.307 0.500 0.619
Mg 0.404 0.500 0.310
Mg 0.509 0.000 0.521
Mg 0.803 0.500 0.613
Mg 0.905 0.500 0.310



(2)
The following is a computed PXRD pattern of Mn3Ga3N5. It was derived from a PBE-relaxed structure, using CuKα.

Peak list (10 most intense, 2θ = 15–90°, in order of rising 2θ)
2θ = 28.92°, I 25, hkl -1 1 2; 2θ = 32.68°, I 28, hkl 2 -1 0; 2θ = 33.36°, I 26, hkl 1 0 2; 2θ = 33.63°, I 100, hkl 0 2 1; 2θ = 34.03°, I 24, hkl 1 -2 1; 2θ = 35.76°, I 31, hkl -2 1 2; 2θ = 36.36°, I 74, hkl 1 2 0; 2θ = 37.18°, I 31, hkl 0 0 3; 2θ = 37.82°, I 30, hkl 2 0 1; 2θ = 38.40°, I 26, hkl 0 1 -3

Structural model:
Unit cell a=5.980 b=6.136 c=7.659 alpha=93.98 beta=107.41 gamma=98.69
Element x y z (fractional)
Mn 0.108 0.017 0.281
Mn 0.263 0.787 0.076
Mn 0.339 0.877 0.701
Mn 0.661 0.123 0.299
Mn 0.737 0.213 0.924
Mn 0.892 0.983 0.719
Ga 0.012 0.503 0.323
Ga 0.357 0.301 0.985
____________
Here the page continues:

I finished reading Book 3 of the Burton House Saga, Double the Trouble, about musical twins Beatrice and Cecelia. As I said last update, the book is much more amusing than the first two books, and that continues to the end of the story. In addition, the author has clearly planned out the rest of the series, as this book makes several comments about future events that will be appearing in future books (along the lines of a character looking at an atlas and dreaming of travel, not knowing how far she’ll go.).
I then sped through the next Philippa Gregory book, Taming of the Queen, about Kathryn Parr, last wife of King Henry VIII. I don’t want to give too much away until I do the book review, so I will simply say that I continue to enjoy the series.
Lastly, I started a book called The Automaton, written by Ian Young, a local author I met at Minicon this year. This book tells the tale of humanity’s move to a cloud consciousness through a series of short stories. These stories are experienced by an automaton, for a purpose that has yet to be really understood. It’s certainly an inventive book, one that feels like real science fiction.
July Goals
- Finish three books
- Write two blog posts

I finished Last of Us 2 this weekend (technically not June, but whatever). I made the point to my sister that I don’t think I’ve ever gone into a final battle not wanting to fight it as much as that one. That game series is a masterpiece of storytelling. I know a lot of people didn’t like the second one, and I kind of see why, but I don’t agree. If they just did a re-hash of the first game, it would have been boring.
Still working through Gears of War Tactics, which I am enjoying. The end of the first act had a brumak fight. Imagine a rancor with machine gun arms and rockets on its back. It was fun, even if it did take me eight tries to get through. I’m into the second Act, which is teaching me the more complex rules of the game before the story gets moving again.
I’m starting to get into a game called Strategic Command: American Civil War. This is one of those games that has a steep learning curve, so I’m giving myself time to get used to it. The nice thing about this game is that they keep releasing new campaign DLC of other wars of the late 19th and pre-First World War 20th Centuries.
My characters in Hot Springs Island and Quest for the Frozen Flame are still alive, which is good. The Delta Green interlude is also moving along, and so far we’re all still alive. But it is Delta Green, so I don’t expect that to last too much longer.
Also, in gaming news, my sister has asked me to run an introductory RPG campaign for her and her friends. I’m excited to do so, and I’ve spent some time the last few weeks planning that out. Not just the story, but how one does and introductory game. It sounds like it’ll be a few months before that really gets going, but you know me. As soon as there’s something to start planning, I start planning.
July Goals
- Finish one more video game
- Don’t lose another character
- Don’t guy another game
What’s next
July will be focused on getting the Science Fiction novel ready to publish and advancing Book 3. I’ve got a lot of other, smaller projects to work on, but those are the big two. I’ll let you know how they go.